The reader should set down the material underneath without additions.

~~~
Compound: Li3Tl4
Source: Alexandria via LeMat-Bulk
Functional: PBE
Structure: optimized geometry

```
data_Li3Tl4
_cell_length_a 8.645
_cell_length_b 8.645
_cell_length_c 8.645
_cell_angle_alpha 90.00
_cell_angle_beta 90.00
_cell_angle_gamma 90.00
_symmetry_space_group_name_H-M 'I -4 3 d'
_symmetry_Int_Tables_number 220
_symmetry_space_group_name_Hall 'I -4bd 2c 3'
loop_
_atom_site_label
_atom_site_fract_x
_atom_site_fract_y
_atom_site_fract_z
Li1 0.000 0.250 0.875
Tl1 0.076 0.424 0.576
```

Results
The distance to the lowest polymorph of the same formula is 0.005 eV per atom. The total magnetization comes out at 0.00 μB per formula unit.

* * * * *

[1]
A geometry-optimized NbGaO2F structure. Source: Alexandria, functional PBE-GGA.

Calculated values
**D(E_F)**: 1.621 states/eV/f.u.
**Calculated total energy**: -34.4 eV/f.u.
**SG**: P4/mmm
**Uncorrected formation energy**: -1.911 eV/atom

Unit cell a=4.0444 b=4.0444 c=4.3097 alpha=90.00 beta=90.00 gamma=90.00
Last column: magnetic moment on the atom in μB.
Element x y z (fractional)
Nb 0.0000 0.0000 0.0000  0.55
O 0.0000 0.5000 0.0000  -0.01
O 0.5000 0.0000 0.0000  -0.01
Ga 0.5000 0.5000 0.5000  0.01
F 0.0000 0.0000 0.5000  0.02



[2]
A geometry-optimized NbGaO2F structure. Source: Alexandria, functional PBE-GGA.

Calculated values
**D(E_F)**: 3.901 states/eV/f.u.
**Calculated total energy**: -30.2 eV/f.u.
**SG**: P4/mmm
**Uncorrected formation energy**: -1.056 eV/atom

Unit cell a=3.9244 b=3.9244 c=3.8166 alpha=90.00 beta=90.00 gamma=90.00
Last column: magnetic moment on the atom in μB.
Element x y z (fractional)
Nb 0.5000 0.5000 0.5000  2.54
O 0.0000 0.5000 0.0000  -0.02
O 0.5000 0.0000 0.0000  -0.02
Ga 0.0000 0.0000 0.0000  0.00
F 0.0000 0.0000 0.5000  0.06



Q: What is the formula in the first record?
A: NbGaO2F

* * * * *

Record 1
# Tl3Ga2Au7 PBE-GGA optimized geometry
data_Tl3Ga2Au7
_chemical_formula_sum 'Tl6 Ga4 Au14'
_cell_length_a 4.138
_cell_length_b 33.876
_cell_length_c 4.050
_cell_angle_alpha 90.00
_cell_angle_beta 90.00
_cell_angle_gamma 90.00
_space_group_name_H-M_alt 'C m m m'
_space_group_IT_number 65
_space_group_name_Hall '-C 2 2'
loop_
_atom_site_label
_atom_site_type_symbol
_atom_site_fract_x
_atom_site_fract_y
_atom_site_fract_z
_atom_site_occupancy
Tl1 Tl 0.000 0.000 0.000 1
Tl2 Tl 0.000 0.212 0.000 1
Ga1 Ga 0.000 0.426 0.500 1
Au1 Au 0.000 0.123 0.500 1
Au2 Au 0.000 0.314 0.500 1
Au3 Au 0.000 0.377 0.000 1
Au4 Au 0.000 0.500 0.500 1
# Total moment = 0.0 Bohr magnetons per cell
# Formation energy from the elements = -0.0270 eV per atom
# Crystal system = orthorhombic

***

Record 2
# BaZrClO2 PBE-GGA optimized geometry
data_BaZrClO2
_chemical_formula_sum 'Ba1 Zr1 Cl1 O2'
_cell_length_a 4.088
_cell_length_b 4.088
_cell_length_c 6.897
_cell_angle_alpha 90.00
_cell_angle_beta 90.00
_cell_angle_gamma 90.00
_space_group_name_H-M_alt 'P 4 m m'
_space_group_IT_number 99
_space_group_name_Hall 'P 4 -2'
loop_
_atom_site_label
_atom_site_type_symbol
_atom_site_fract_x
_atom_site_fract_y
_atom_site_fract_z
_atom_site_occupancy
Ba1 Ba 0.000 0.000 0.000 1
Zr1 Zr 0.500 0.500 0.323 1
Cl1 Cl 0.500 0.500 0.717 1
O1 O 0.000 0.500 0.260 1
# Total moment = 0.1 Bohr magnetons per cell
# Formation energy without anion corrections = -12.937 eV per formula unit
# Crystal system = tetragonal

***

Record 3
# TmTcAs PBE-GGA optimized geometry
data_TmTcAs
_chemical_formula_sum 'Tm4 Tc4 As4'
_cell_length_a 7.131
_cell_length_b 3.989
_cell_length_c 8.038
_cell_angle_alpha 90.00
_cell_angle_beta 91.61
_cell_angle_gamma 90.00
_space_group_name_H-M_alt 'P 1 21/c 1'
_space_group_IT_number 14
_space_group_name_Hall '-P 2ybc'
loop_
_atom_site_label
_atom_site_type_symbol
_atom_site_fract_x
_atom_site_fract_y
_atom_site_fract_z
_atom_site_occupancy
Tm1 Tm 0.163 0.249 0.377 1
Tc1 Tc 0.498 0.749 0.401 1
As1 As 0.258 0.749 0.137 1
# Total moment = 0.0 Bohr magnetons per cell
# Formation energy from the elements = -0.6722 eV per atom
# Crystal system = monoclinic

***

Record 4
~~~

Compound: Li3Tl4
Source: Alexandria via LeMat-Bulk
Functional: PBE
Structure: optimized geometry

```
data_Li3Tl4
_cell_length_a 8.645
_cell_length_b 8.645
_cell_length_c 8.645
_cell_angle_alpha 90.00
_cell_angle_beta 90.00
_cell_angle_gamma 90.00
_symmetry_space_group_name_H-M 'I -4 3 d'
_symmetry_Int_Tables_number 220
_symmetry_space_group_name_Hall 'I -4bd 2c 3'
loop_
_atom_site_label
_atom_site_fract_x
_atom_site_fract_y
_atom_site_fract_z
Li1 0.000 0.250 0.875
Tl1 0.076 0.424 0.576
```

Results
The distance to the lowest polymorph of the same formula is 0.005 eV per atom. The total magnetization comes out at 0.00 μB per formula unit.

* * * * *

[1]
A geometry-optimized NbGaO2F structure. Source: Alexandria, functional PBE-GGA.

Calculated values
**D(E_F)**: 1.621 states/eV/f.u.
**Calculated total energy**: -34.4 eV/f.u.
**SG**: P4/mmm
**Uncorrected formation energy**: -1.911 eV/atom

Unit cell a=4.0444 b=4.0444 c=4.3097 alpha=90.00 beta=90.00 gamma=90.00
Last column: magnetic moment on the atom in μB.
Element x y z (fractional)
Nb 0.0000 0.0000 0.0000  0.55
O 0.0000 0.5000 0.0000  -0.01
O 0.5000 0.0000 0.0000  -0.01
Ga 0.5000 0.5000 0.5000  0.01
F 0.0000 0.0000 0.5000  0.02



[2]
A geometry-optimized NbGaO2F structure. Source: Alexandria, functional PBE-GGA.

Calculated values
**D(E_F)**: 3.901 states/eV/f.u.
**Calculated total energy**: -30.2 eV/f.u.
**SG**: P4/mmm
**Uncorrected formation energy**: -1.056 eV/atom

Unit cell a=3.9244 b=3.9244 c=3.8166 alpha=90.00 beta=90.00 gamma=90.00
Last column: magnetic moment on the atom in μB.
Element x y z (fractional)
Nb 0.5000 0.5000 0.5000  2.54
O 0.0000 0.5000 0.0000  -0.02
O 0.5000 0.0000 0.0000  -0.02
Ga 0.0000 0.0000 0.0000  0.00
F 0.0000 0.0000 0.5000  0.06



Q: What is the formula in the first record?
A: NbGaO2F

* * * * *

Record 1
# Tl3Ga2Au7 PBE-GGA optimized geometry
data_Tl3Ga2Au7
_chemical_formula_sum 'Tl6 Ga4 Au14'
_cell_length_a 4.138
_cell_length_b 33.876
_cell_length_c 4.050
_cell_angle_alpha 90.00
_cell_angle_beta 90.00
_cell_angle_gamma 90.00
_space_group_name_H-M_alt 'C m m m'
_space_group_IT_number 65
_space_group_name_Hall '-C 2 2'
loop_
_atom_site_label
_atom_site_type_symbol
_atom_site_fract_x
_atom_site_fract_y
_atom_site_fract_z
_atom_site_occupancy
Tl1 Tl 0.000 0.000 0.000 1
Tl2 Tl 0.000 0.212 0.000 1
Ga1 Ga 0.000 0.426 0.500 1
Au1 Au 0.000 0.123 0.500 1
Au2 Au 0.000 0.314 0.500 1
Au3 Au 0.000 0.377 0.000 1
Au4 Au 0.000 0.500 0.500 1
# Total moment = 0.0 Bohr magnetons per cell
# Formation energy from the elements = -0.0270 eV per atom
# Crystal system = orthorhombic

***

Record 2
# BaZrClO2 PBE-GGA optimized geometry
data_BaZrClO2
_chemical_formula_sum 'Ba1 Zr1 Cl1 O2'
_cell_length_a 4.088
_cell_length_b 4.088
_cell_length_c 6.897
_cell_angle_alpha 90.00
_cell_angle_beta 90.00
_cell_angle_gamma 90.00
_space_group_name_H-M_alt 'P 4 m m'
_space_group_IT_number 99
_space_group_name_Hall 'P 4 -2'
loop_
_atom_site_label
_atom_site_type_symbol
_atom_site_fract_x
_atom_site_fract_y
_atom_site_fract_z
_atom_site_occupancy
Ba1 Ba 0.000 0.000 0.000 1
Zr1 Zr 0.500 0.500 0.323 1
Cl1 Cl 0.500 0.500 0.717 1
O1 O 0.000 0.500 0.260 1
# Total moment = 0.1 Bohr magnetons per cell
# Formation energy without anion corrections = -12.937 eV per formula unit
# Crystal system = tetragonal

***

Record 3
# TmTcAs PBE-GGA optimized geometry
data_TmTcAs
_chemical_formula_sum 'Tm4 Tc4 As4'
_cell_length_a 7.131
_cell_length_b 3.989
_cell_length_c 8.038
_cell_angle_alpha 90.00
_cell_angle_beta 91.61
_cell_angle_gamma 90.00
_space_group_name_H-M_alt 'P 1 21/c 1'
_space_group_IT_number 14
_space_group_name_Hall '-P 2ybc'
loop_
_atom_site_label
_atom_site_type_symbol
_atom_site_fract_x
_atom_site_fract_y
_atom_site_fract_z
_atom_site_occupancy
Tm1 Tm 0.163 0.249 0.377 1
Tc1 Tc 0.498 0.749 0.401 1
As1 As 0.258 0.749 0.137 1
# Total moment = 0.0 Bohr magnetons per cell
# Formation energy from the elements = -0.6722 eV per atom
# Crystal system = monoclinic

***

Record 4